Exercise >
Print the lines further down up to the one that holds "-0.820", that line included.

Material >
........
1.
C2H6N4S | ωB97M-V/def2-TZVPD

Structure (XYZ):
```
13
C2H6N4S ωB97M-V/def2-TZVPD
S 1.946 -1.758 -0.104
N 0.073 1.374 -1.316
N 0.013 1.912 0.090
N 0.521 -0.643 -0.028
N -1.585 -0.241 0.649
C 0.350 0.155 -1.288
C -0.547 -0.988 0.526
H -0.298 2.923 -0.001
H -0.360 -1.864 1.076
H -2.284 -0.733 1.245
H 0.291 -0.353 -2.307
H 2.766 -1.302 1.044
H -0.886 1.517 0.414
```

SMILES string ... [H]/N=C/N(S)/C=N\N
Net charge ... 0
HOMO ... -9.408 eV
Gap between HOMO and LUMO ... 9.664 eV
Energy above the lowest of the compared OMol25 structures with the same formula, charge and spin ... 83.3 kcal/mol



2.
C2H8NO6 | ωB97M-V/def2-TZVPD

Structure (XYZ):
```
17
C2H8NO6 ωB97M-V/def2-TZVPD
O -2.863 -0.356 0.538
O 2.247 1.025 -1.816
O 1.144 -0.596 2.448
O -0.437 -0.458 -1.497
O -1.359 2.016 -0.678
O 0.650 0.928 0.917
N 0.542 -1.427 0.291
C -0.173 -1.463 -0.869
C 0.742 -0.232 1.344
H 2.410 0.969 -0.895
H -0.487 1.652 -0.256
H -1.241 1.651 -1.544
H -2.657 0.452 -0.134
H -2.015 -0.627 0.909
H 0.585 -2.256 0.823
H -0.559 -2.430 -1.253
H 1.696 0.283 -1.845
```

Net charge ... -1
HOMO ... -5.958 eV
Gap between HOMO and LUMO ... 9.520 eV



3.
C18H14ClN4O2OsSe | ωB97M-V/def2-TZVPD

Structure (XYZ):
```
41
C18H14ClN4O2OsSe ωB97M-V/def2-TZVPD
Os 1.501 0.123 -1.870
Se -0.389 2.099 1.293
Cl 0.644 7.520 -0.178
O 2.311 1.707 -1.133
O -0.136 1.107 -2.303
N 0.311 3.770 0.727
N 2.917 -1.210 -1.668
N 5.123 -4.646 -2.039
N -0.784 3.058 -1.374
C -0.849 2.173 -2.330
C 0.266 2.887 -0.357
C 4.895 -2.424 -1.191
C -0.263 5.086 0.541
C 1.672 2.830 -0.890
C 0.822 5.861 -0.184
C -1.792 4.095 -1.190
C 4.408 -3.551 -1.925
C 2.357 4.026 -1.092
C 3.113 -3.444 -2.531
C -3.938 5.028 -1.675
C -2.999 4.030 -1.873
C 4.152 -1.300 -1.080
C -1.544 5.096 -0.260
C -2.511 6.070 -0.052
C 2.439 -2.288 -2.375
C 1.942 5.342 -0.843
C -3.696 6.051 -0.767
H 5.867 -2.464 -0.717
H 1.437 -2.173 -2.821
H 2.687 -4.261 -3.097
H -2.339 6.842 0.689
H 4.487 -0.431 -0.533
H 4.792 -5.448 -2.556
H -3.250 3.214 -2.537
H -4.875 4.987 -2.214
H -0.428 5.549 1.515
H 6.037 -4.730 -1.616
H -1.545 2.299 -3.151
H -4.443 6.815 -0.597
H 2.620 6.101 -1.219
H 3.334 3.923 -1.552
```

Net charge ... +3
Spin multiplicity ... 5
HOMO (spin up / spin down) ... -17.505 / -17.468 eV
Gap between HOMO and LUMO (spin up / spin down) ... 6.478 / 5.335 eV
Energy above the lowest of the compared OMol25 structures with the same formula, charge and spin ... 35.8 kcal/mol



4.
C35H44NO6RhSe | ωB97M-V/def2-TZVPD

Structure (XYZ):
```
88
C35H44NO6RhSe ωB97M-V/def2-TZVPD
Rh -2.923 -1.908 1.091
Se -1.610 -0.087 2.183
O -4.379 1.126 -1.419
O -1.053 -2.136 0.052
O -2.219 0.266 -1.034
O -3.988 -0.062 0.450
O -3.355 -3.997 1.047
O -3.530 -5.740 -0.361
N -3.826 -2.290 -0.820
C 1.772 4.902 0.723
C -1.622 1.349 -0.465
C -0.598 3.517 -0.570
C 3.549 -1.494 3.214
C -1.788 1.432 -3.578
C -1.202 2.455 -1.238
C -3.934 -1.437 -2.998
C 0.153 2.910 -3.284
C -3.684 0.068 -0.829
C 0.618 4.584 2.899
C 0.262 -3.840 -1.726
C -3.751 -3.815 -2.599
C -3.876 -2.742 -3.476
C -1.311 1.357 0.906
C 3.913 -2.869 3.799
C 1.739 -5.060 -0.160
C 4.686 -0.982 2.315
C -3.520 -4.549 -0.111
C 0.011 -1.983 0.720
C 2.296 -2.499 1.270
C 1.235 -2.693 0.413
C 1.436 -3.673 -0.752
C -0.677 2.431 1.519
C 3.363 -0.509 4.371
C 2.289 -1.636 2.376
C -1.270 2.624 -2.772
C -3.734 -3.542 -1.245
C -0.440 6.016 1.162
C -0.318 3.547 0.789
C -3.872 -1.246 -1.626
C 0.022 -1.076 1.844
C 2.640 -3.183 -1.579
C -2.184 3.819 -3.091
C 1.119 -0.916 2.644
C 0.398 4.751 1.394
H 1.681 5.098 -0.346
H 0.894 -5.405 0.438
H 3.545 -3.088 -0.979
H 1.899 -5.777 -0.966
H 2.574 -0.837 5.049
H 3.125 0.493 4.007
H -1.818 4.745 -2.645
H -4.803 1.581 -0.684
H -0.566 6.224 0.099
H -1.430 5.900 1.607
H -2.242 3.962 -4.172
H 4.120 -3.598 3.016
H 4.801 -2.786 4.428
H 3.091 -3.249 4.408
H -3.905 -2.918 -4.544
H -0.479 2.362 2.580
H 0.578 3.819 -2.857
H 2.420 -2.210 -2.022
H 2.323 5.732 1.172
H -0.600 -4.294 -1.240
H 1.121 5.468 3.294
H 1.061 -0.219 3.468
H 0.045 6.881 1.619
H 0.816 2.077 -3.042
H 0.579 -4.504 -2.533
........

Completed >
1.
C2H6N4S | ωB97M-V/def2-TZVPD

Structure (XYZ):
```
13
C2H6N4S ωB97M-V/def2-TZVPD
S 1.946 -1.758 -0.104
N 0.073 1.374 -1.316
N 0.013 1.912 0.090
N 0.521 -0.643 -0.028
N -1.585 -0.241 0.649
C 0.350 0.155 -1.288
C -0.547 -0.988 0.526
H -0.298 2.923 -0.001
H -0.360 -1.864 1.076
H -2.284 -0.733 1.245
H 0.291 -0.353 -2.307
H 2.766 -1.302 1.044
H -0.886 1.517 0.414
```

SMILES string ... [H]/N=C/N(S)/C=N\N
Net charge ... 0
HOMO ... -9.408 eV
Gap between HOMO and LUMO ... 9.664 eV
Energy above the lowest of the compared OMol25 structures with the same formula, charge and spin ... 83.3 kcal/mol



2.
C2H8NO6 | ωB97M-V/def2-TZVPD

Structure (XYZ):
```
17
C2H8NO6 ωB97M-V/def2-TZVPD
O -2.863 -0.356 0.538
O 2.247 1.025 -1.816
O 1.144 -0.596 2.448
O -0.437 -0.458 -1.497
O -1.359 2.016 -0.678
O 0.650 0.928 0.917
N 0.542 -1.427 0.291
C -0.173 -1.463 -0.869
C 0.742 -0.232 1.344
H 2.410 0.969 -0.895
H -0.487 1.652 -0.256
H -1.241 1.651 -1.544
H -2.657 0.452 -0.134
H -2.015 -0.627 0.909
H 0.585 -2.256 0.823
H -0.559 -2.430 -1.253
H 1.696 0.283 -1.845
```

Net charge ... -1
HOMO ... -5.958 eV
Gap between HOMO and LUMO ... 9.520 eV



3.
C18H14ClN4O2OsSe | ωB97M-V/def2-TZVPD

Structure (XYZ):
```
41
C18H14ClN4O2OsSe ωB97M-V/def2-TZVPD
Os 1.501 0.123 -1.870
Se -0.389 2.099 1.293
Cl 0.644 7.520 -0.178
O 2.311 1.707 -1.133
O -0.136 1.107 -2.303
N 0.311 3.770 0.727
N 2.917 -1.210 -1.668
N 5.123 -4.646 -2.039
N -0.784 3.058 -1.374
C -0.849 2.173 -2.330
C 0.266 2.887 -0.357
C 4.895 -2.424 -1.191
C -0.263 5.086 0.541
C 1.672 2.830 -0.890
C 0.822 5.861 -0.184
C -1.792 4.095 -1.190
C 4.408 -3.551 -1.925
C 2.357 4.026 -1.092
C 3.113 -3.444 -2.531
C -3.938 5.028 -1.675
C -2.999 4.030 -1.873
C 4.152 -1.300 -1.080
C -1.544 5.096 -0.260
C -2.511 6.070 -0.052
C 2.439 -2.288 -2.375
C 1.942 5.342 -0.843
C -3.696 6.051 -0.767
H 5.867 -2.464 -0.717
H 1.437 -2.173 -2.821
H 2.687 -4.261 -3.097
H -2.339 6.842 0.689
H 4.487 -0.431 -0.533
H 4.792 -5.448 -2.556
H -3.250 3.214 -2.537
H -4.875 4.987 -2.214
H -0.428 5.549 1.515
H 6.037 -4.730 -1.616
H -1.545 2.299 -3.151
H -4.443 6.815 -0.597
H 2.620 6.101 -1.219
H 3.334 3.923 -1.552
```

Net charge ... +3
Spin multiplicity ... 5
HOMO (spin up / spin down) ... -17.505 / -17.468 eV
Gap between HOMO and LUMO (spin up / spin down) ... 6.478 / 5.335 eV
Energy above the lowest of the compared OMol25 structures with the same formula, charge and spin ... 35.8 kcal/mol



4.
C35H44NO6RhSe | ωB97M-V/def2-TZVPD

Structure (XYZ):
```
88
C35H44NO6RhSe ωB97M-V/def2-TZVPD
Rh -2.923 -1.908 1.091
Se -1.610 -0.087 2.183
O -4.379 1.126 -1.419
O -1.053 -2.136 0.052
O -2.219 0.266 -1.034
O -3.988 -0.062 0.450
O -3.355 -3.997 1.047
O -3.530 -5.740 -0.361
N -3.826 -2.290 -0.820